**Contents**
____________
[1]
Computed, not measured: a structure of composition C35H45CrGe2N4O5, with ωB97M-V/def2-TZVPD.

Its multiplicity is 4. The value obtained for the LUMO energy (spin up / spin down) is -0.208 / -0.414 eV. As for the frontier orbital gap (spin up / spin down): 7.8355 / 7.6326 eV.

```
92
C35H45CrGe2N4O5, DFT ωB97M-V/def2-TZVPD
Cr 1.65 -0.47 -1.11
O -0.17 -0.88 -1.47
C -0.57 -1.38 -2.62
C -1.84 -1.03 -3.11
C -2.31 -1.53 -4.31
C -1.54 -2.43 -5.06
C -0.30 -2.81 -4.58
C 0.21 -2.29 -3.39
C 1.44 -2.82 -2.85
N 2.08 -2.22 -1.91
N 3.03 -2.92 -1.18
C 2.96 -2.48 0.05
O 2.12 -1.54 0.42
C 3.83 -3.07 1.08
C 4.84 -3.97 0.74
C 5.65 -4.52 1.72
C 5.46 -4.17 3.05
C 4.47 -3.26 3.40
C 3.66 -2.71 2.42
H -2.44 -0.36 -2.51
H -3.29 -1.24 -4.66
H -1.92 -2.83 -5.99
H 0.30 -3.52 -5.13
H 1.79 -3.80 -3.16
H 4.96 -4.24 -0.30
H 6.43 -5.22 1.44
H 6.10 -4.59 3.81
H 4.32 -2.99 4.43
H 2.89 -2.00 2.67
C 2.58 0.96 4.22
C 2.06 0.83 2.78
Ge 0.23 0.12 2.70
C 0.07 -1.77 3.23
C 0.58 -2.12 4.63
C -1.04 1.17 3.78
C -2.08 1.48 2.98
Ge -1.60 0.75 1.19
C -2.81 -0.68 0.59
C -4.08 -0.21 -0.12
C -1.31 2.09 -0.24
C -2.34 3.20 -0.39
C -3.33 2.17 3.41
C -3.64 2.36 4.75
C -4.81 3.00 5.13
C -5.70 3.46 4.17
C -5.40 3.28 2.83
C -4.23 2.63 2.46
H 3.56 1.43 4.24
H 2.67 -0.01 4.70
H 1.91 1.57 4.83
H 2.71 0.19 2.19
H 2.04 1.81 2.31
H 0.56 -2.38 2.48
H -1.00 -1.99 3.16
H 1.66 -2.02 4.70
H 0.32 -3.14 4.91
H 0.15 -1.45 5.39
H -1.02 1.44 4.83
H -3.07 -1.28 1.47
H -2.22 -1.32 -0.07
H -4.74 0.33 0.56
H -4.64 -1.05 -0.53
H -3.85 0.46 -0.95
H -1.22 1.51 -1.17
H -0.32 2.52 -0.06
H -3.33 2.82 -0.63
H -2.05 3.90 -1.19
H -2.43 3.78 0.53
H -2.97 1.99 5.52
H -5.03 3.13 6.18
H -6.61 3.97 4.47
H -6.09 3.64 2.07
H -4.01 2.50 1.41
O 1.87 1.41 -0.26
N 3.14 1.40 -0.46
O 3.85 2.31 -0.17
O 3.56 0.32 -1.00
C 0.60 0.61 -6.20
C 0.71 1.71 -5.14
C -0.67 2.33 -4.86
C 1.72 2.79 -5.56
C 1.18 1.09 -3.90
N 1.53 0.62 -2.92
H 0.23 1.05 -7.13
H -0.10 -0.17 -5.89
H 1.57 0.15 -6.40
H -1.04 2.80 -5.77
H -0.60 3.09 -4.08
H -1.37 1.56 -4.54
H 1.38 3.25 -6.49
H 2.71 2.35 -5.74
H 1.81 3.56 -4.80
```


[2]
Computed, not measured: a structure of composition C30H28BHfN9O2S2, with ωB97M-V/def2-TZVPD.

The value obtained for the LUMO energy is -6.242 eV. The charge is +2. As for the frontier orbital gap: 7.0437 eV.

```
73
C30H28BHfN9O2S2, DFT ωB97M-V/def2-TZVPD
Hf 0.17 0.38 0.36
N -2.38 2.89 -2.20
C -3.29 3.50 -1.28
C -3.71 4.80 -1.48
C -4.55 5.39 -0.54
C -4.91 4.70 0.60
C -4.46 3.40 0.81
C -3.67 2.79 -0.15
S -3.20 1.10 -0.01
N -1.65 1.19 -0.77
C -1.48 1.98 -1.77
C -0.12 1.97 -2.39
C 0.14 2.40 -3.67
C 1.45 2.37 -4.13
C 2.45 1.92 -3.29
C 2.10 1.47 -2.03
N 0.85 1.50 -1.58
H -2.11 3.47 -2.98
H -3.41 5.35 -2.37
H -4.90 6.40 -0.70
H -5.56 5.16 1.33
H -4.74 2.86 1.70
H -0.66 2.72 -4.33
H 1.69 2.70 -5.14
H 3.48 1.88 -3.60
H 2.85 1.06 -1.36
B -0.34 1.25 2.97
N -0.57 2.58 2.27
C -0.99 3.80 2.63
C -0.79 4.66 1.57
C -0.25 3.87 0.56
N -0.11 2.61 1.00
N 1.19 0.98 2.99
C 2.06 0.85 4.00
C 3.32 0.68 3.48
C 3.14 0.71 2.10
N 1.86 0.90 1.81
H -0.86 1.12 4.03
H -0.88 0.35 2.23
H -1.39 3.96 3.62
H -1.00 5.72 1.54
H 0.06 4.15 -0.43
H 1.71 0.91 5.02
H 4.25 0.57 4.02
H 3.88 0.61 1.31
C 0.39 -7.81 -1.48
C 0.33 -6.32 -1.44
C 0.91 -5.55 -2.45
C 0.83 -4.18 -2.45
C 0.16 -3.55 -1.40
C -0.43 -4.28 -0.37
C -0.33 -5.66 -0.40
S 0.11 -1.82 -1.38
O -0.02 -1.26 -2.69
O -0.95 -1.40 -0.39
N 1.45 -1.20 -0.66
C 1.74 -1.95 0.53
C 2.72 -2.92 0.64
C 2.84 -3.54 1.88
C 2.01 -3.17 2.93
C 1.08 -2.17 2.74
N 0.95 -1.58 1.54
H 1.21 -8.17 -2.09
H -0.54 -8.21 -1.90
H 0.50 -8.23 -0.48
H 1.42 -6.05 -3.27
H 1.26 -3.59 -3.25
H -0.95 -3.78 0.43
H -0.80 -6.24 0.39
H 3.33 -3.18 -0.21
H 3.58 -4.32 2.02
H 2.09 -3.65 3.90
H 0.43 -1.83 3.53
```


[3]
Computed, not measured: an isolated molecule of C3H2N2S2, with ωB97M-V/def2-TZVPD.

The value obtained for the LUMO energy is -0.624 eV. As for the frontier orbital gap: 8.0490 eV.

```
9
C3H2N2S2, DFT ωB97M-V/def2-TZVPD
C -0.64 -0.70 -1.03
C 0.15 0.36 -1.19
N 0.59 0.59 0.35
S 1.43 1.41 1.65
S 0.09 0.14 2.67
C -0.32 -0.22 1.01
N -1.00 -1.03 0.25
____________

**Job**
It remains to transcribe the whole of the block further above word for word.

**Done**
[1]
Computed, not measured: a structure of composition C35H45CrGe2N4O5, with ωB97M-V/def2-TZVPD.

Its multiplicity is 4. The value obtained for the LUMO energy (spin up / spin down) is -0.208 / -0.414 eV. As for the frontier orbital gap (spin up / spin down): 7.8355 / 7.6326 eV.

```
92
C35H45CrGe2N4O5, DFT ωB97M-V/def2-TZVPD
Cr 1.65 -0.47 -1.11
O -0.17 -0.88 -1.47
C -0.57 -1.38 -2.62
C -1.84 -1.03 -3.11
C -2.31 -1.53 -4.31
C -1.54 -2.43 -5.06
C -0.30 -2.81 -4.58
C 0.21 -2.29 -3.39
C 1.44 -2.82 -2.85
N 2.08 -2.22 -1.91
N 3.03 -2.92 -1.18
C 2.96 -2.48 0.05
O 2.12 -1.54 0.42
C 3.83 -3.07 1.08
C 4.84 -3.97 0.74
C 5.65 -4.52 1.72
C 5.46 -4.17 3.05
C 4.47 -3.26 3.40
C 3.66 -2.71 2.42
H -2.44 -0.36 -2.51
H -3.29 -1.24 -4.66
H -1.92 -2.83 -5.99
H 0.30 -3.52 -5.13
H 1.79 -3.80 -3.16
H 4.96 -4.24 -0.30
H 6.43 -5.22 1.44
H 6.10 -4.59 3.81
H 4.32 -2.99 4.43
H 2.89 -2.00 2.67
C 2.58 0.96 4.22
C 2.06 0.83 2.78
Ge 0.23 0.12 2.70
C 0.07 -1.77 3.23
C 0.58 -2.12 4.63
C -1.04 1.17 3.78
C -2.08 1.48 2.98
Ge -1.60 0.75 1.19
C -2.81 -0.68 0.59
C -4.08 -0.21 -0.12
C -1.31 2.09 -0.24
C -2.34 3.20 -0.39
C -3.33 2.17 3.41
C -3.64 2.36 4.75
C -4.81 3.00 5.13
C -5.70 3.46 4.17
C -5.40 3.28 2.83
C -4.23 2.63 2.46
H 3.56 1.43 4.24
H 2.67 -0.01 4.70
H 1.91 1.57 4.83
H 2.71 0.19 2.19
H 2.04 1.81 2.31
H 0.56 -2.38 2.48
H -1.00 -1.99 3.16
H 1.66 -2.02 4.70
H 0.32 -3.14 4.91
H 0.15 -1.45 5.39
H -1.02 1.44 4.83
H -3.07 -1.28 1.47
H -2.22 -1.32 -0.07
H -4.74 0.33 0.56
H -4.64 -1.05 -0.53
H -3.85 0.46 -0.95
H -1.22 1.51 -1.17
H -0.32 2.52 -0.06
H -3.33 2.82 -0.63
H -2.05 3.90 -1.19
H -2.43 3.78 0.53
H -2.97 1.99 5.52
H -5.03 3.13 6.18
H -6.61 3.97 4.47
H -6.09 3.64 2.07
H -4.01 2.50 1.41
O 1.87 1.41 -0.26
N 3.14 1.40 -0.46
O 3.85 2.31 -0.17
O 3.56 0.32 -1.00
C 0.60 0.61 -6.20
C 0.71 1.71 -5.14
C -0.67 2.33 -4.86
C 1.72 2.79 -5.56
C 1.18 1.09 -3.90
N 1.53 0.62 -2.92
H 0.23 1.05 -7.13
H -0.10 -0.17 -5.89
H 1.57 0.15 -6.40
H -1.04 2.80 -5.77
H -0.60 3.09 -4.08
H -1.37 1.56 -4.54
H 1.38 3.25 -6.49
H 2.71 2.35 -5.74
H 1.81 3.56 -4.80
```


[2]
Computed, not measured: a structure of composition C30H28BHfN9O2S2, with ωB97M-V/def2-TZVPD.

The value obtained for the LUMO energy is -6.242 eV. The charge is +2. As for the frontier orbital gap: 7.0437 eV.

```
73
C30H28BHfN9O2S2, DFT ωB97M-V/def2-TZVPD
Hf 0.17 0.38 0.36
N -2.38 2.89 -2.20
C -3.29 3.50 -1.28
C -3.71 4.80 -1.48
C -4.55 5.39 -0.54
C -4.91 4.70 0.60
C -4.46 3.40 0.81
C -3.67 2.79 -0.15
S -3.20 1.10 -0.01
N -1.65 1.19 -0.77
C -1.48 1.98 -1.77
C -0.12 1.97 -2.39
C 0.14 2.40 -3.67
C 1.45 2.37 -4.13
C 2.45 1.92 -3.29
C 2.10 1.47 -2.03
N 0.85 1.50 -1.58
H -2.11 3.47 -2.98
H -3.41 5.35 -2.37
H -4.90 6.40 -0.70
H -5.56 5.16 1.33
H -4.74 2.86 1.70
H -0.66 2.72 -4.33
H 1.69 2.70 -5.14
H 3.48 1.88 -3.60
H 2.85 1.06 -1.36
B -0.34 1.25 2.97
N -0.57 2.58 2.27
C -0.99 3.80 2.63
C -0.79 4.66 1.57
C -0.25 3.87 0.56
N -0.11 2.61 1.00
N 1.19 0.98 2.99
C 2.06 0.85 4.00
C 3.32 0.68 3.48
C 3.14 0.71 2.10
N 1.86 0.90 1.81
H -0.86 1.12 4.03
H -0.88 0.35 2.23
H -1.39 3.96 3.62
H -1.00 5.72 1.54
H 0.06 4.15 -0.43
H 1.71 0.91 5.02
H 4.25 0.57 4.02
H 3.88 0.61 1.31
C 0.39 -7.81 -1.48
C 0.33 -6.32 -1.44
C 0.91 -5.55 -2.45
C 0.83 -4.18 -2.45
C 0.16 -3.55 -1.40
C -0.43 -4.28 -0.37
C -0.33 -5.66 -0.40
S 0.11 -1.82 -1.38
O -0.02 -1.26 -2.69
O -0.95 -1.40 -0.39
N 1.45 -1.20 -0.66
C 1.74 -1.95 0.53
C 2.72 -2.92 0.64
C 2.84 -3.54 1.88
C 2.01 -3.17 2.93
C 1.08 -2.17 2.74
N 0.95 -1.58 1.54
H 1.21 -8.17 -2.09
H -0.54 -8.21 -1.90
H 0.50 -8.23 -0.48
H 1.42 -6.05 -3.27
H 1.26 -3.59 -3.25
H -0.95 -3.78 0.43
H -0.80 -6.24 0.39
H 3.33 -3.18 -0.21
H 3.58 -4.32 2.02
H 2.09 -3.65 3.90
H 0.43 -1.83 3.53
```


[3]
Computed, not measured: an isolated molecule of C3H2N2S2, with ωB97M-V/def2-TZVPD.

The value obtained for the LUMO energy is -0.624 eV. As for the frontier orbital gap: 8.0490 eV.

```
9
C3H2N2S2, DFT ωB97M-V/def2-TZVPD
C -0.64 -0.70 -1.03
C 0.15 0.36 -1.19
N 0.59 0.59 0.35
S 1.43 1.41 1.65
S 0.09 0.14 2.67
C -0.32 -0.22 1.01
N -1.00 -1.03 0.25